Fans Love Elton’s New ‘Farewell Yellow Brick Road’ Tour Book

Elton has a knack for giving his fans just what they need at just the right time.
15 months after waving his last tearful goodbye to a Farewell Yellow Brick Road Tour audience (tack, Stockholm!), his lavish, 256-page full-color book celebrating the record-breaking, five-year, globe-spanning tour of 330 shows now sits upon store bookshelves, waiting to fall into the arms of those who may have been going through concert withdrawal. “I’ve seen him before but didn’t get to a Farewell show,” you say? No worries, Elton also reflects upon select past shows in FYBR Tour cities.
Two weeks before the book’s publish date of September 23rd, Elton’s official Rocket Club members began to see the 9”x11” hardcover edition arrive at their doorsteps thanks to an advance sale on We asked some of these avid fans for their reactions to the book and they were happy…nay, ecstatic to share!
Ahhh, such a great picture in the book of Toronto, September 7th, 2022! I, as usual, was in the front row. When I tossed Elton a dozen purple roses, the wonderful look he gave me warmed me to my core. And then, from Toronto, we found ourselves at the very last show at Dodger Stadium. I cried when Elton brought Bernie, David, Zachary and Elijah out on stage. Elton John has been part of my soul for 50 years, since I was 14 years old. He has enhanced my life 100 times over and this book keeps many of the memories safe for me.
Susi Scott

I wasn’t even born at the time of Elton’s first shows in America, so I loved seeing the series of photos David Larkham took from behind the Troubadour stage. I had heard the legendary story of Elton getting hit with a hash pipe thrown by someone in the Greensboro, NC crowd in 1974, but I’d never seen the photos taken of Elton right after. It’s amazing that he was able to go back on stage and finish the show! And the postcards Elton wrote back to the staff at DJM while on his first tours of America in 1970 are a treasure! Signing off as “Elton (I’m so humble) John” made me smile at the sense of humor we fans know and love.
Jeanie Kincer

The book brings back so many memories of the 13 Farewell shows I attended, not to mention the decades of shows I saw prior (dating back to the early 70’s). I love seeing the costumes he wore during the 70’s concerts. Seeing pictures from the FYBR concerts filled a void that has been in my heart since the tour ended. I think what I loved MOST, though, is seeing images of friends I met along the way – their stories being captured (you know who you are!) #UnitedbyElton. Those friendships are something I deeply cherish and am most grateful for.
Bonnie Green

The book gives me such a euphoric feeling when I look at any photo or read an excerpt from any page. My first Elton show was in Houston, TX in 1974. Something magical happened that night. The poster reproductions are a real highlight of the book. I never considered posters until a friend gave me one after a Las Vegas show. I now have a growing collection in my home; they are very special. The book also reminds me of a highlight at the final Dodger Stadium show. Elton looked at my sign and said, “Wow, Jeff’s 185th show – blimey!” It was his last shout-out in America. Tears rolled down my cheeks as I exited that night.
Jeff Young

Data records, kept here for reference:
┌──
Computed PXRD pattern
Compound: CuNi5Pt6
Radiation: Cu Ka
Structure: a crystal structure in Alexandria, relaxed with GGA-PBE
Peak positions follow from Bragg's law for the DFT cell and can differ from measured ones.

```
data_CuNi5Pt6
_space_group_name_H-M_alt 'I m m m'
_space_group_IT_number 71
_space_group_name_Hall '-I 2 2'
_cell_length_a 3.8613
_cell_length_b 7.2606
_cell_length_c 11.5780
_cell_angle_alpha 90.00
_cell_angle_beta 90.00
_cell_angle_gamma 90.00
loop_
_atom_site_label
_atom_site_type_symbol
_atom_site_fract_x
_atom_site_fract_y
_atom_site_fract_z
Cu1 Cu 0.0000 0.0000 0.0000
Ni1 Ni 0.0000 0.0000 0.3325
Ni2 Ni 0.0000 0.5000 0.0000
Ni3 Ni 0.0000 0.5000 0.3335
Pt1 Pt 0.0000 0.2464 0.5000
Pt2 Pt 0.0000 0.2515 0.1673
```

Largest 10 diffraction maxima, low angle first, 2θ = 10–90°:
- 24.5 deg, rel. 23, (0 2 0)
- 32.8 deg, rel. 22, (1 0 3)
- 41.4 deg, rel. 100, (1 2 3)
- 47.1 deg, rel. 35, (2 0 0)
- 50.3 deg, rel. 14, (0 4 0)
- 53.8 deg, rel. 12, (2 2 0)
- 71.3 deg, rel. 20, (2 4 0)
- 83.5 deg, rel. 13, (3 2 3)
- 83.6 deg, rel. 13, (1 2 9)
- 88.4 deg, rel. 12, (1 6 3)

Computed PXRD pattern
Compound: Sr4CaO5
Radiation: Cu Ka
Structure: a crystal structure in Alexandria, relaxed with GGA-PBE
Peak positions follow from Bragg's law for the DFT cell and can differ from measured ones.

```
data_Sr4CaO5
_space_group_name_H-M_alt 'I 4/m'
_space_group_IT_number 87
_space_group_name_Hall '-I 4'
_cell_length_a 8.1172
_cell_length_b 8.1172
_cell_length_c 5.1452
_cell_angle_alpha 90.00
_cell_angle_beta 90.00
_cell_angle_gamma 90.00
loop_
_atom_site_label
_atom_site_type_symbol
_atom_site_fract_x
_atom_site_fract_y
_atom_site_fract_z
Sr1 Sr 0.1007 0.7022 0.0000
Ca1 Ca 0.0000 0.0000 0.5000
O1 O 0.0000 0.0000 0.0000
O2 O 0.0954 0.7100 0.5000
```

Largest 10 diffraction maxima, low angle first, 2θ = 10–90°:
- 30.1 deg, rel. 84, (1 2 1)
- 34.9 deg, rel. 100, (0 0 2)
- 50.2 deg, rel. 66, (3 1 2)
- 59.6 deg, rel. 13, (1 2 3)
- 59.7 deg, rel. 26, (5 0 1)
- 62.6 deg, rel. 22, (2 4 2)
- 73.8 deg, rel. 7, (6 2 0)
- 81.7 deg, rel. 17, (3 6 1)
- 84.2 deg, rel. 9, (3 1 4)
- 84.4 deg, rel. 18, (6 2 2)

Question: Number 2 is which compound?
Answer: Sr4CaO5

* * * * *

# 1
CsTbCuCl5: computed powder X-ray diffraction pattern (copper Kα), based on a DFT-relaxed cell (GGA-PBE, Alexandria).

Principal peaks in the range 2θ = 5–70°, in order of falling intensity:
- (1 1 -2), 19.22 deg, d 4.618, rel. 100
- (1 3 0), 24.45 deg, d 3.641, rel. 65
- (2 0 0), 21.18 deg, d 4.194, rel. 64
- (0 2 2), 24.07 deg, d 3.697, rel. 40
- (3 3 0), 39.18 deg, d 2.299, rel. 28
- (4 0 -4), 45.39 deg, d 1.998, rel. 27

Cell and atoms:
a = 9.123 Å, b = 12.123 Å, c = 10.145 Å
α = 90.00°, β = 113.14°, γ = 90.00°
Space group C2/c (No. 15)
Unique sites:
Cs  0.000  0.155  0.250
Tb  0.000  0.500  0.000
Cu  0.000  0.192  0.750
Cl  0.000  0.434  0.250
Cl  0.093  0.298  0.605
Cl  0.201  0.075  0.914


# 2
└──

I’ve seen Elton in concert 179 times all around the world and almost 50 times at Madison Square Garden – my favorite place to see Elton and, as he says in the book, his favorite to play. His shows there during the first half of the Farewell tour were some of the most emotional concerts I’ve ever seen, with Elton breaking down in tears when the applause would not stop. Elton shares wonderful stories in this book of his life on tour and it brought back so many wonderful moments that I remember vividly, because I was there!
Wayne Martin

I’m really enjoying reading about not only the Farewell Tour shows in various cities, but shows in the same cities on past tours. It’s wonderful reading about his love of Watford Football Club. I’ll never forget arriving at Vicarage Road to see his last concert there and thinking back on when Elton went there as a young boy to watch his favourite team play. It was very emotional when he thanked the many local fans who’d come along to that last hurrah. A huge cheer went up when he spoke about his love of the grounds. This is one of the many memories that will live on forever, thanks to this wonderful book!
Kath Murray

I was fortunate to see 8 of those magnificent Farewell Tour shows, and the book’s vivid photographs help me relive those joyful memories, right through my 120th Elton John concert at his Dodger Stadium finale. Seeing the picture of Elton still lifting his right leg over the keys 50 years later helps me vividly recall my favorite moment when EJ put his leg over the keys at MSG and stared right at me with a wink and a smile! My knees buckled. I thought I had seen and heard almost all the pictures and stories of Elton, but no, this book is full of fantastic surprises. There is so much to read and see, it is going take me a good while to go through it all fully!
Lee Illickal

What a beautiful collection of memories this book contains. I love how Elton compares his final shows in some cities to the times he had performed there over the past 50 years. The part of the book that touches me the most is the section about the shutdown due to the pandemic. Elton talks about the challenges he faced during that time and the book tells us what some of us already knew: how resilient and loving Elton is. He made a commitment to his fans and could have chosen not to resume the tour, but his love and compassion for all of us drove him to not let us down! I love how this brings us even closer to his inner thoughts during that difficult time.
Merri Noel